Fragmented habitats may need to be better connected than previously thought
Plant seeds become adapted to small, isolated habitats
A model study reveals that the seeds of plants in small, fragmented habitats can abruptly evolve in such a way that they can no longer travel long distances. As a consequence, plants are less successful in reaching other habitats. This insight shows that fragmented natural areas may need to be better connected than previously assumed. The research, conducted by biodiversity researchers Monique de Jager and Merel Soons, was published yesterday in the scientific journal Ecology and Evolution.
Habitat fragmentation is a major cause of global biodiversity loss. Populations of plants and animals residing in small habitats are more vulnerable and face an increased risk of extinction. Moreover, fragmentation makes plants and animals less successful in returning to places from where they have disappeared. Additionally, fragmentation hampers the exchange of genes between populations, potentially limiting the capacity of groups of plants and animals to adapt to changing environmental conditions.
The text is interrupted by materials data >
+++
[1]
Entry from Alexandria: Li3Mg2Hg8 after structural relaxation (PBE).

Values from the calculation:
For the total DFT energy (no corrections), the calculation gives -1.071 eV per atom. For the density of states at the Fermi level, the calculation gives 0.22 states/eV/atom. The value obtained for the formation enthalpy at 0 K is -0.198 eV per atom. The crystal system is monoclinic.

Unit cell a=8.0612 b=4.7716 c=8.1421 alpha=90.00 beta=107.53 gamma=90.00
With the nearest neighbours (Å) after each atom.
Space group P2/m (No. 10)
One atom of each set of equivalent atoms:
Li (0.0000, 0.0000, 0.0000) [1 per cell]  8 Hg 2.90-2.94
Li (0.2472, 0.5000, 0.2459) [2 per cell]  8 Hg 2.87-2.88
Mg (0.2491, 0.0000, 0.7482) [2 per cell]  8 Hg 2.87-2.98
Hg (0.1274, 0.5000, 0.8747) [2 per cell]  4 Li 2.88-2.90, 2 Mg 2.89
Hg (0.1355, 0.0000, 0.3775) [2 per cell]  3 Li 2.87-2.94, 2 Mg 2.88-2.96, 1 Hg 3.19
Hg (0.3778, 0.0000, 0.1323) [2 per cell]  2 Mg 2.87-2.98, 3 Li 2.87-2.91, 1 Hg 3.19
Hg (0.3789, 0.5000, 0.6161) [2 per cell]  2 Li 2.88, 2 Mg 2.94, 1 Hg 3.10

[2]
Entry from Alexandria: BiTe2Pb2 after structural relaxation (PBE).

Values from the calculation:
For the total DFT energy (no corrections), the calculation gives -3.370 eV per atom. Its formation energy (no corrections) is 147 meV/atom. For the density of states at the Fermi level, the calculation gives 0.75 states/eV/atom. The crystal system is tetragonal. The distance to the lowest polymorph of the same formula comes out at 208 meV per atom.

Unit cell a=4.3561 b=4.3561 c=17.6569 alpha=90.00 beta=90.00 gamma=90.00
With the nearest neighbours (Å) after each atom.
Space group I4/mmm (No. 139)
One atom of each set of equivalent atoms:
Bi (0.0000, 0.0000, 0.0000) [2 per cell]  8 Te 3.52
Te (0.0000, 0.0000, 0.4032) [4 per cell]  1 Te 3.42, 4 Pb 3.47, 4 Bi 3.52
Pb (0.0000, 0.5000, 0.2500) [4 per cell]  4 Pb 3.08

[3]
Entry from Alexandria: LiScAl2Au2 after structural relaxation (PBE).

Values from the calculation:
For the total DFT energy (no corrections), the calculation gives -4.348 eV per atom. For the density of states at the Fermi level, the calculation gives 0.55 states/eV/atom. The value obtained for the formation enthalpy at 0 K is -0.633 eV per atom. The crystal system is trigonal.

Unit cell a=4.4430 b=4.4430 c=6.0906 alpha=90.00 beta=90.00 gamma=120.00
With the nearest neighbours (Å) after each atom.
Space group P-3m1 (No. 164)
One atom of each set of equivalent atoms:
Li (0.0000, 0.0000, 0.0000) [1 per cell]  6 Al 2.85, 6 Au 2.97, 2 Sc 3.05
Sc (0.0000, 0.0000, 0.5000) [1 per cell]  6 Au 2.99, 2 Li 3.05, 6 Al 3.14
Al (0.3333, 0.6667, 0.7962) [2 per cell]  4 Au 2.58-2.75, 3 Li 2.85
Au (0.3333, 0.6667, 0.2471) [2 per cell]  4 Al 2.58-2.75

[4]
Entry from Alexandria: BHPb after structural relaxation (PBE).

Values from the calculation:
+++

Abrupt Tipping Point
Efforts to restore nature frequently centre around establishing connections between isolated habitats. However, these measures often prove to be insufficiently effective. The new study conducted by De Jager and Soons now sheds light on a potential underlying cause: plants adapt to their confined habitats by developing seeds with limited dispersal capabilities.
De Jager explains how that works: "Initially, when a habitat becomes fragmented, it remains advantageous for plants to possess seeds capable of long-distance travel. This enables them to reach other suitable areas. Our mathematical models indeed confirm that as a large habitat fragments into smaller, increasingly dispersed habitats, seeds capable of traveling greater distances emerge. However, our models also reveal an abrupt tipping point: once the fragmentation reaches a certain threshold, the habitats become too distant from each other. The seeds are then simply unable to bridge the gap. The model suggests that seeds with limited dispersal capacities arise at this point, so that the majority of seeds end up within the suitable habitat in which they originated."
While this study is purely based on modelling, it highlights a plausible scenario that we should consider proactively.
The researchers also employed the models to investigate the outcomes of reducing distances between habitats, such as through the restoration of intermediate areas. De Jager: "According to the model, a significant reduction in the distance between habitats is necessary to effectively reverse the effects of fragmentation. We calculated the distance at which the tipping point takes place where plants once again produce seeds capable of long-distance dispersal. It turns out that this distance between habitats is actually shorter than the distance between habitats at which the tipping point occurs when fragmentation actually increases. Hence, in order to counteract the effects of habitat fragmentation, nature must exhibit a lower degree of fragmentation than the level at which those effects initially occurred."
Mathematical models
The present study employed mathematical models to simulate the dispersal of plant seeds through water. Looking ahead, De Jager intends to explore whether such tipping points indeed manifest in nature. De Jager: "While this study is purely based on modelling, it highlights a plausible scenario that we should consider proactively."
Moreover, the researcher points out that a comparable mechanism likely operates in animals too. De Jager: "Animals have the capacity to adapt their behavior and to learn from one another. Once they have grasped that venturing beyond their habitat offers no advantage, they will stop doing it."
By offering more suitable habitats now, we can avert the adaptation of plants to confined and isolated environments.
Concrete evidence
Incidentally, there is an increasing body of evidence suggesting that habitat fragmentation can lead to a reduced long distance dispersal of plant seeds. For example, De Jager came up with the idea for the current model study when she read a scientific paper on the herb Crepis sancta. These plants generate two types of seeds: those that fall to the ground immediately and those that are transported by the wind. Interestingly, it turns out that Crepis sancta plants inhabiting small patches in urban areas exhibit a higher proportion of falling seeds compared to their counterparts outside the city. Urban Crepis sancta plants therefore appear to have been adapted relatively quickly to a fragmented environment, where wind-dispersed seeds often land on unsuitable surfaces like asphalt or stones. Seeds that fall on the ground immediately, on the other hand, settle within the same patch of fertile soil where their parent plant resides.
According to De Jager, the model study underscores the importance of prevention over remediation. De Jager: "By offering more suitable habitats now, we can avert the adaptation of plants to confined and isolated environments. This undoubtedly represents the most favourable course of action, as once plants have reached a stage where their dispersal capacity is limited, reversing the consequences necessitates a more extensive set of measures."
Ecology and Evolution, 29 May 2023
Monique de Jager, Merel Soons